********
(1)
Below is a cluster of 2 separate species, C2H9NO2 in total at a distorted geometry, with properties calculated with ωB97M-V/def2-TZVPD.

XYZ file:
```
14
Properties=species:S:1:pos:R:3:mulliken_spin:R:1
C -0.3991 1.7197 -0.0411 0.50
N 0.6860 0.9363 0.4910 -0.15
C 1.5559 0.2741 -0.4535 0.65
O 1.0422 -0.6724 -1.4454 -0.23
H -1.2714 1.1531 -0.4985 -0.03
H -0.0180 2.4248 -0.7488 0.01
H -0.8367 2.3748 0.7710 -0.16
H 0.5772 0.4812 1.3979 -0.23
H 2.0860 1.0094 -1.1050 -0.01
H 2.2946 -0.2492 0.2232 -0.09
H 0.2766 -1.0700 -1.0374 0.13
H -2.7103 -2.5763 1.1130 -0.57
H -1.3270 -3.2352 0.8211 -0.41
O -1.9560 -2.5704 0.5125 1.61
```

* 2S+1: 2
* energy relative to the best compared isomer or geometry (same formula, charge and spin): 32.88 kJ/mol
* charge: -1
* calculated total energy: -7803.2694 eV
* HOMO (spin up / spin down): 1.008 / -5.803 eV
* <S²>: 0.7503
* LUMO (spin up / spin down): 0.145 / 0.139 Eh
* gap between HOMO and LUMO (spin up / spin down): 2.942 / 9.591 eV

***

(2)
Below is a cluster of 3 separate species, C2H9NO2 in total at a distorted geometry, with properties calculated with ωB97M-V/def2-TZVPD.

XYZ file:
```
14
Properties=species:S:1:pos:R:3:mulliken_charge:R:1
C 0.1841 1.1592 -0.9409 -0.45
N -1.1699 0.8615 -1.2450 -0.35
C -1.1039 -1.0486 0.8760 -0.76
O -0.0172 -0.8059 1.6682 -0.56
H 0.7043 2.0778 -1.2486 0.38
H 1.0072 0.4125 -1.1639 0.35
H 0.0427 0.8314 0.1098 0.26
H -1.1450 1.1811 -2.2333 0.29
H -0.8212 -1.4247 -0.1262 0.33
H -1.4504 -0.0764 0.5239 0.35
H -1.9459 -1.3568 1.4925 0.33
H 2.8310 -0.5315 0.6216 0.21
H 0.9381 -0.8874 1.4033 0.42
O 1.9460 -0.3922 0.2625 -0.79
```

* energy relative to the best compared isomer or geometry (same formula, charge and spin): 781.09 kJ/mol
* calculated total energy: -7796.6305 eV
* HOMO: -8.870 eV
* LUMO: -0.142 Eh
* gap between HOMO and LUMO: 4.993 eV

***

(3)
Below is a cluster of 3 separate species, C2H9NO2 in total at a distorted geometry, with properties calculated with ωB97M-V/def2-TZVPD.

XYZ file:
```
14
Properties=species:S:1:pos:R:3:mulliken_charge:R:1
C 0.7068 0.5505 -0.6684 -1.04
C 0.0538 0.7673 0.4754 0.37
N -1.0409 1.6073 0.5979 -0.47
H 0.4347 1.1226 -1.5447 0.35
H 1.4564 -0.2145 -0.6472 0.09
H 0.3006 0.3621 1.4448 0.29
H -1.5312 1.9380 -0.2169 0.22
H -1.6596 1.4717 1.3833 0.21
H 2.1688 -1.8413 1.7700 0.32
H 2.7693 -1.1343 0.5433 0.31
O 2.4462 -0.9840 1.4343 -0.64
H -1.4110 -0.9055 -1.8987 0.33
H -2.4024 -1.4465 -0.8637 0.31
O -2.2918 -1.2933 -1.8093 -0.66
```

* energy relative to the best compared isomer or geometry (same formula, charge and spin): 47.82 kJ/mol
* calculated total energy: -7804.2302 eV
* HOMO: -8.296 eV
* LUMO: 0.025 Eh
* gap between HOMO and LUMO: 8.989 eV

***

(4)
Below is a cluster of 2 separate species, C2H9NO2 in total at a distorted geometry, with properties calculated with ωB97M-V/def2-TZVPD.

XYZ file:
```
14
Properties=species:S:1:pos:R:3:mulliken_charge:R:1
C 1.2012 -0.9669 -0.4867 -0.48
O 1.3773 -1.7351 -1.6750 -0.53
C 0.0426 0.0590 -0.7084 -0.22
N 0.1811 1.2714 0.1301 -0.61
H 0.8419 -1.6216 0.3101 0.27
H 2.1134 -0.4849 -0.1372 0.34
H 0.8441 -2.5103 -1.5864 0.31
H 0.0308 0.3520 -1.7552 0.24
H -0.8767 -0.4871 -0.4741 0.17
H 0.9910 1.1347 0.7135 0.21
H -0.6297 1.3892 0.7173 0.32
H -2.6450 0.4033 2.2840 0.32
H -1.9983 1.5928 2.9550 0.32
O -2.3126 1.3060 2.1016 -0.66
```

* energy relative to the best compared isomer or geometry (same formula, charge and spin): 38.55 kJ/mol
* calculated total energy: -7804.3263 eV
* HOMO: -8.974 eV
* LUMO: 0.021 Eh
* gap between HOMO and LUMO: 9.551 eV

***

(5)
Below is a cluster of 2 separate species, C2H9NO2 in total at a distorted geometry, with properties calculated with ωB97M-V/def2-TZVPD.

XYZ file:
```
14
Properties=species:S:1:pos:R:3:mulliken_charge:R:1
C -1.8500 1.0601 -1.2757 -0.31
O -1.8756 0.1742 -2.3251 -0.47
C -0.5570 1.2240 -0.3261 -0.53
N 0.3063 0.1288 -0.4049 -0.54
H -2.6514 0.7755 -0.6271 0.30
H -1.8520 2.1154 -1.5911 0.24
H -0.9803 0.1053 -2.6429 0.25
********
Find "(3)" and "0.0538 0.7673" in the material above, and repeat these two lines and those between.
(3)
Below is a cluster of 3 separate species, C2H9NO2 in total at a distorted geometry, with properties calculated with ωB97M-V/def2-TZVPD.

XYZ file:
```
14
Properties=species:S:1:pos:R:3:mulliken_charge:R:1
C 0.7068 0.5505 -0.6684 -1.04
C 0.0538 0.7673 0.4754 0.37